## Excerpt
-- begin --
VASP calculation (PBE) on TbPm3Cu2 after structural relaxation.

The space group is Ibam (No. 72) and the conventional cell measures 6.8935, 13.6815 and 7.3710 Å, with angles of 90.00, 90.00 and 90.00 degrees. The asymmetric unit holds Tb at (0.0000, 0.0000, 0.0000), Pm at (0.0000, 0.2328, 0.2500), Pm at (0.0000, 0.5000, 0.2500) and Cu at (0.2061, 0.3599, 0.0000).

The energy above the lowest structure with this stoichiometry is 177.4 meV/atom. The calculation puts the calculated formation energy at 60 meV/atom. The magnetic moment is 0.0 μB/f.u.


(1)
The following is a DFT calculation (PBE) of Ti2InSeBr after structural relaxation.

space-group type: P4/mmm
crystal system: tetragonal
ΔE_f (raw): 0.9255 eV/atom

abc: 5.3768 5.1723 5.3768
angles: 90.00 90.00 90.00
Atoms (fractional coordinates):
In: 0.0000 0.0000 0.0000
Ti: 0.5000 0.0000 0.0000
Se: 0.5000 0.5000 0.5000
Br: 0.0000 0.5000 0.0000
Ti: 0.0000 0.0000 0.5000

(2)
The following is a DFT calculation (PBE) of MnSi4Ru after structural relaxation.

space-group type: F-43m
crystal system: cubic
ΔE_f (raw): 0.3787 eV/atom

abc: 4.8435 4.8435 4.8435
angles: 60.00 60.00 60.00
Atoms (fractional coordinates):
Mn: 0.2500 0.2500 0.2500
Si: 0.6251 0.6251 0.6251
Si: 0.6251 0.1247 0.6251
Si: 0.1247 0.6251 0.6251
Si: 0.6251 0.6251 0.1247
Ru: 0.0000 0.0000 0.0000

(3)
The following is a DFT calculation (PBE) of Ho4PSe2Cl after structural relaxation.

space-group type: P2/m
crystal system: monoclinic
ΔE_f (raw): -1.5983 eV/atom

abc: 3.9924 6.9824 6.9732
angles: 71.06 90.00 90.00
Atoms (fractional coordinates):
Ho: 0.5000 0.7315 0.2762
Se: 0.0000 0.0000 0.0000
Ho: 0.0000 0.7471 0.7263
Cl: 0.5000 0.5000 0.0000
Ho: 0.5000 0.2685 0.7238
Ho: 0.0000 0.2529 0.2736
P: 0.0000 0.5000 0.5000
Se: 0.5000 0.0000 0.5000

(4)
The following is a DFT calculation (PBE) of Rb2PtI8 after structural relaxation.

space-group type: C2/m
crystal system: monoclinic
ΔE_f (raw): -0.5258 eV/atom

abc: 7.0405 9.4909 9.4909
angles: 78.40 68.40 68.40
Atoms (fractional coordinates):
I: 0.7514 0.8275 0.1708
Rb: 0.7406 0.7608 0.7608
Rb: 0.2594 0.2392 0.2392
I: 0.2113 0.7900 0.7900
I: 0.2486 0.1725 0.8292
I: 0.2486 0.8292 0.1725
Pt: 0.0000 0.0000 0.0000
I: 0.7887 0.2100 0.2100
I: 0.2498 0.4999 0.4999
I: 0.7502 0.5001 0.5001
I: 0.7514 0.1708 0.8275

(5)
The following is a DFT calculation (PBE) of CuRe3 after structural relaxation.

space-group type: Fm-3m
crystal system: cubic
energy of formation: 0.3430 eV/atom

abc: 4.3428 4.3428 4.3428
angles: 60.00 60.00 60.00
Atoms (fractional coordinates):
Cu: 0.0000 0.0000 0.0000
Re: 0.7500 0.7500 0.7500
Re: 0.5000 0.5000 0.5000
Re: 0.2500 0.2500 0.2500

(6)
The following is a DFT calculation (PBE) of ZrSiAs2 after structural relaxation.

space-group type: Cmm2
crystal system: orthorhombic
ΔE_f (raw): -0.1506 eV/atom

abc: 3.1927 3.1927 8.1270
angles: 90.00 90.00 104.20
Atoms (fractional coordinates):
Zr: 0.5000 0.5000 0.7258
As: 0.0000 0.0000 0.9630
As: 0.5000 0.5000 0.3146
Si: 0.0000 0.0000 0.4966

no.,DOS(E_F) (states/eV per cell)
1,10.98
2,3.71
3,3.43
4,3.62
5,2.88
6,1.66
-- stop --
## Assignment
Could you start at the top of the calculation results above and give back each line, ending with the one that has "3,3.43"?
## Here it is
VASP calculation (PBE) on TbPm3Cu2 after structural relaxation.

The space group is Ibam (No. 72) and the conventional cell measures 6.8935, 13.6815 and 7.3710 Å, with angles of 90.00, 90.00 and 90.00 degrees. The asymmetric unit holds Tb at (0.0000, 0.0000, 0.0000), Pm at (0.0000, 0.2328, 0.2500), Pm at (0.0000, 0.5000, 0.2500) and Cu at (0.2061, 0.3599, 0.0000).

The energy above the lowest structure with this stoichiometry is 177.4 meV/atom. The calculation puts the calculated formation energy at 60 meV/atom. The magnetic moment is 0.0 μB/f.u.


(1)
The following is a DFT calculation (PBE) of Ti2InSeBr after structural relaxation.

space-group type: P4/mmm
crystal system: tetragonal
ΔE_f (raw): 0.9255 eV/atom

abc: 5.3768 5.1723 5.3768
angles: 90.00 90.00 90.00
Atoms (fractional coordinates):
In: 0.0000 0.0000 0.0000
Ti: 0.5000 0.0000 0.0000
Se: 0.5000 0.5000 0.5000
Br: 0.0000 0.5000 0.0000
Ti: 0.0000 0.0000 0.5000

(2)
The following is a DFT calculation (PBE) of MnSi4Ru after structural relaxation.

space-group type: F-43m
crystal system: cubic
ΔE_f (raw): 0.3787 eV/atom

abc: 4.8435 4.8435 4.8435
angles: 60.00 60.00 60.00
Atoms (fractional coordinates):
Mn: 0.2500 0.2500 0.2500
Si: 0.6251 0.6251 0.6251
Si: 0.6251 0.1247 0.6251
Si: 0.1247 0.6251 0.6251
Si: 0.6251 0.6251 0.1247
Ru: 0.0000 0.0000 0.0000

(3)
The following is a DFT calculation (PBE) of Ho4PSe2Cl after structural relaxation.

space-group type: P2/m
crystal system: monoclinic
ΔE_f (raw): -1.5983 eV/atom

abc: 3.9924 6.9824 6.9732
angles: 71.06 90.00 90.00
Atoms (fractional coordinates):
Ho: 0.5000 0.7315 0.2762
Se: 0.0000 0.0000 0.0000
Ho: 0.0000 0.7471 0.7263
Cl: 0.5000 0.5000 0.0000
Ho: 0.5000 0.2685 0.7238
Ho: 0.0000 0.2529 0.2736
P: 0.0000 0.5000 0.5000
Se: 0.5000 0.0000 0.5000

(4)
The following is a DFT calculation (PBE) of Rb2PtI8 after structural relaxation.

space-group type: C2/m
crystal system: monoclinic
ΔE_f (raw): -0.5258 eV/atom

abc: 7.0405 9.4909 9.4909
angles: 78.40 68.40 68.40
Atoms (fractional coordinates):
I: 0.7514 0.8275 0.1708
Rb: 0.7406 0.7608 0.7608
Rb: 0.2594 0.2392 0.2392
I: 0.2113 0.7900 0.7900
I: 0.2486 0.1725 0.8292
I: 0.2486 0.8292 0.1725
Pt: 0.0000 0.0000 0.0000
I: 0.7887 0.2100 0.2100
I: 0.2498 0.4999 0.4999
I: 0.7502 0.5001 0.5001
I: 0.7514 0.1708 0.8275

(5)
The following is a DFT calculation (PBE) of CuRe3 after structural relaxation.

space-group type: Fm-3m
crystal system: cubic
energy of formation: 0.3430 eV/atom

abc: 4.3428 4.3428 4.3428
angles: 60.00 60.00 60.00
Atoms (fractional coordinates):
Cu: 0.0000 0.0000 0.0000
Re: 0.7500 0.7500 0.7500
Re: 0.5000 0.5000 0.5000
Re: 0.2500 0.2500 0.2500

(6)
The following is a DFT calculation (PBE) of ZrSiAs2 after structural relaxation.

space-group type: Cmm2
crystal system: orthorhombic
ΔE_f (raw): -0.1506 eV/atom

abc: 3.1927 3.1927 8.1270
angles: 90.00 90.00 104.20
Atoms (fractional coordinates):
Zr: 0.5000 0.5000 0.7258
As: 0.0000 0.0000 0.9630
As: 0.5000 0.5000 0.3146
Si: 0.0000 0.0000 0.4966

no.,DOS(E_F) (states/eV per cell)
1,10.98
2,3.71
3,3.43